Cardiologist explains the many benefits of a low-sugar diet and how to get started

It is difficult to follow a low-sugar diet. Sugar is everywhere — and in surprisingly high amounts in most foods. For example, most breads contain quite a bit of sugar, and skim milk contains 12 grams of sugar per cup, with sugar replacing fat in the milk.

I know this as I have been following a low-sugar diet for the last year and a half for health reasons. With the help of my wife, Sherri, we have been carefully looking at labels, and often paying higher prices to buy foods that are low in sugar.

There are many reasons to restrict sugar from your diet. It will help with weight loss, help control or even prevent type 2 diabetes, and may have a role in restricting cellular growth in certain kinds of cancers. The anti-inflammatory effects can help arthritis and many gastrointestinal disorders.

The decision to begin a very low-sugar, low simple-carbohydrate diet is complicated, as there is no agreement about what it entails. Diet choices can range from the extreme Keto diet to a modified low-sugar diet. Because there is no clear road map or agreement about what constitutes the “best” diet, I will share what I have learned.

┌──
Computed, not measured: a geometry-optimized Cd6AgHg structure at the PBE level of DFT.

The magnetization is 0.000 μB per cell. The volume comes out at 22.189 Å³ per atom. The energy above the lowest structure with this stoichiometry is 0 meV/atom.

It has space group P-1 (No. 2), with a = 5.428 Å, b = 5.431 Å, c = 7.062 Å, α = 110.35°, β = 110.35° and γ = 95.31°. The asymmetric unit holds Cd at (0.121, 0.133, 0.246), Cd at (0.249, 0.755, 0.485), Cd at (0.372, 0.383, 0.754), Ag at (0.000, 0.500, 0.000) and Hg at (0.500, 0.000, 0.000).
└──

The first thing to know is that you cannot successfully be on a low-sugar diet unless you also choose to cut out carbohydrates. Certain carbohydrates known as simple or “junk” carbs are readily converted to sugar by the body. They include such foods as white breads, pasta, many deserts, and sweetened drinks. The body packages up these carbs into triglycerides (a kind of fat in the blood) and the body treats them the same way as sugar.

Next, decide how you feel about incorporating fruit into your diet. Fruit contains natural sugars and carbohydrates. In a true and rigorous keto diet, fruit is restricted. The traditional keto diet has become very popular to promote weight loss, and an entire industry of keto products has surfaced. Keto-friendly chocolates, desserts, and foods, often under the name of Atkins (the original proponent of this diet) take up numerous shelves in grocery stores. The problem that I have with a strict Keto diet is that it is not especially good for cardiovascular health (as it advocates foods rich in such saturated fats as red meat and bacon), these specialty products are often pricey, and many contain processed food.

Also, get used to reading food labels. Sugar is everywhere, even in places you wouldn’t expect such as yogurt and low-fat cheese. Beware of products that contain other kinds of hidden sugar such as corn syrup, honey, maple syrup, and molasses. One more warning, the font on the nutritional labels can be very small, so if you require reading glasses, bring them to the grocery store.

» READ MORE: How added sugars and alcohol can spread cancerous tumors

The diet that I chose to follow is not keto but is “keto-friendly.” It allows fruit, especially berries and avocado, with no free sugars or junk carbs. There is evidence that the sugar in fruits is treated differently by the body than regular sugar, and the anti-inflammatory effects and fiber present in whole fruits is beneficial. Processed foods are a no-no, as they are pro-inflammatory. My diet is basically Mediterranean in nature but without sugar or carbs. This diet includes such foods as:

- - -
(1)
Density functional theory data (GGA-PBE) for Pm4Co2N after structural relaxation.

For the raw formation energy, the calculation gives -0.1307 eV/atom.

Geometry as POSCAR:
```
Pm4Co2N
1.0
-2.435 2.435 7.135
2.435 -2.435 7.135
2.435 2.435 -7.135
Pm Co N
4 2 1
direct
0.000 0.500 0.500
0.195 0.195 0.000
0.500 0.000 0.500
0.805 0.805 0.000
0.373 0.373 0.000
0.627 0.627 0.000
0.500 0.500 0.000
```

***

(2)
Density functional theory data (GGA-PBE) for UCo3H after structural relaxation.

Its energy is -36.91 eV/cell.

Geometry as POSCAR:
```
UCo3H
1.0
3.786 0.000 0.000
0.000 3.786 0.000
0.000 0.000 3.786
U Co H
1 3 1
direct
0.000 0.000 0.000
0.000 0.500 0.500
0.500 0.000 0.500
0.500 0.500 0.000
0.500 0.500 0.500
```

***

(3)
Density functional theory data (GGA-PBE) for ZnIrC3 after structural relaxation.

The formation energy is 3.06 eV per atom.

Geometry as POSCAR:
```
ZnIrC3
1.0
3.851 0.000 0.000
0.000 3.851 0.000
0.000 0.000 3.851
Zn Ir C
1 1 3
direct
0.000 0.000 0.000
0.500 0.500 0.500
0.000 0.000 0.500
0.000 0.500 0.000
0.500 0.000 0.000
```

***

| no. | Fermi-level density of states (states/eV per cell) |
| --- | --- |
| 1 | 7.50 |
| 2 | 1.68 |
| 3 | 4.20 |

* * * * *

An optimized crystal structure of Nd2PuGe. Source: Alexandria via LeMat-Bulk, functional PBE-GGA.

Unit cell a=3.6270 b=3.6270 c=11.1897 alpha=80.67 beta=80.67 gamma=60.00
With the nearest neighbours (Å) after each atom.
Fractional positions:
Ge: 0.5000 0.5000 0.5000  6 Nd 2.99
Nd: 0.1019 0.1019 0.6944  3 Ge 2.99
Nd: 0.8981 0.8981 0.3056  3 Ge 2.99
Pu: 0.0000 0.0000 0.0000  2 Nd 3.36, 6 Pu 3.63

Calculated values
calculated volume = 125 Å³ per cell
size of the total moment = 6.40 μB per formula unit
energy relative to the lowest polymorph listed for this composition = 342 meV per atom
energy of formation = 0.09 eV per atom
VASP energy = -7.03 eV per atom

* * * * *

(1)
The following is a PBE-GGA calculation of an optimized crystal structure of Pm4ThIn5, from the Alexandria database.

```
Pm4ThIn5
1.0
3.582 0.000 0.000
0.000 3.582 0.000
0.000 0.000 22.140
Pm Th In
4 1 5
Cartesian
0.000 0.000 2.201
0.000 0.000 6.598
0.000 0.000 15.542
0.000 0.000 19.939
0.000 0.000 11.070
1.791 1.791 0.000
1.791 1.791 4.403
1.791 1.791 8.803
1.791 1.791 13.337
1.791 1.791 17.736
```

Values from the calculation:
Calculated formation energy = -42.9 kJ per mole of atoms
N(E_F) = 8.83 states/eV/f.u.
SG = P4/mmm (123)


(2)
The following is a PBE-GGA calculation of an optimized crystal structure of Ac8Si3Se4O, from the Alexandria database.

```
Ac8Si3Se4O
1.0
7.688 -4.435 0.000
7.688 4.435 0.000
-5.123 0.000 7.383
Ac Si Se O
8 3 4 1
Cartesian
3.885 2.286 5.374
-0.051 0.000 5.393
6.369 2.286 2.009
2.564 0.000 1.914
7.690 0.000 5.469
3.885 -2.286 5.374
10.304 0.000 1.990
6.369 -2.286 2.009
1.283 2.218 3.692
1.283 -2.218 3.692
5.127 0.000 3.692
0.000 0.000 0.000
3.844 2.218 0.000
3.844 -2.218 0.000
7.688 0.000 0.000
-2.561 0.000 3.692
```

Values from the calculation:
N(E_F) = 4.41 states/eV/f.u.
- - -

  • Fruit, such as blueberries, strawberries, peaches, watermelon, avocados, and other seasonal fruits that have a low glycemic index, which have fewer carbs. (Restrict fruits with a high glycemic index, such as bananas.)

  • Low-sugar breads, with 1 to 2 grams of sugar per slice.

  • Water and flavored sparkling water. Limit dairy, fruit drinks, and soda because of the sugar content.

  • Meats, such as skinless chicken and turkey.

  • Fish, such as salmon, which is high in omega 3 fatty acids.

Here is a typical day on a low-sugar diet:

» READ MORE: A cardiologist’s 10 best ways to blast the sugar out of your diet

Breakfast: Low fat, plain Greek yogurt. This is very low in sugar. Add blueberries or other berries. Avoid yogurt that comes premixed with the fruit as it is full of sugar. A keto waffle can be added if you crave a carbohydrate for breakfast. Water or coffee as a beverage.

Lunch: Turkey sandwich with avocado, lettuce, and tomato with low-sugar bread (the label on the bread will specify the sugar content). Another good choice is a peanut butter and banana sandwich on low-sugar bread. Many kinds of peanut butter have a lot of sugar — get the kind that is 100% peanuts, with less than 2 grams per 2 tablespoons.

Dinner: Try to avoid dining out in restaurants. Often, the food is tasty because of the liberal use of sugar. I suggest grilled chicken or fish, vegetables such as broccoli or carrots, and a salad.

Snack: There are tasty snacks in the keto aisle of the grocery store to satisfy cravings but they often contain processed food. A healthier snack is an apple, pear, or peach. If you are willing to bake, there are many keto recipes available that use almond flour, coconut flour and artificial sweeteners.

I recognize that this diet is not for everyone and that it requires a lot of discipline. It helps to have a partner for food shopping, food preparation, and cheerleading. If you have type 2 diabetes, are overweight, or wish to follow an anti-inflammatory diet, it might be worth giving it a try. You will not be hungry, will almost certainly begin to lose weight, and just may give your overall health a boost.

I feel significantly better than I did a year ago. I have more energy and have been exercising regularly. It is hard to know how much of this is related to the anti-inflammatory effects of this diet, in addition to great medical care, but I plan to continue it. Bringing nutrition into your health care is important, and the potential positive effects should not be ignored.

David Becker is a board-certified cardiologist with Chestnut Hill Temple Cardiology in Flourtown. He has been in practice for more than 25 years.